## Contents
- - -
Entry 1:
Molecular formula: C6H5F7N
Method: DFT, ωB97M-V with the def2-TZVPD basis set

Results
**Total charge**: +1
**HOMO energy (spin up / spin down)**: -15.69 / -14.74 eV
**M**: 224.10 g mol⁻¹
**Frontier orbital gap (spin up / spin down)**: 9.03 / 7.24 eV
**Maximum force**: 0.1050 hartree/bohr

CARTESIAN COORDINATES (ANGSTROEM)
1 C -2.084 -1.227 0.222
2 C 1.421 0.173 0.248
3 C 0.416 0.890 0.514
4 C -2.805 1.107 -0.135
5 C 2.889 0.666 -0.062
6 C 1.432 -1.367 -0.232
7 N -1.967 -0.011 0.096
8 F 0.054 2.066 0.893
9 F 3.185 0.589 -1.315
10 F 3.840 0.022 0.560
11 F 2.881 1.888 0.413
12 F 2.570 -1.741 -0.705
13 F 0.458 -1.584 -1.183
14 F 1.041 -2.094 0.796
15 H -3.129 -1.632 0.196
16 H -1.231 -1.884 0.056
17 H -3.730 1.041 0.454
18 H -3.153 1.251 -1.160
19 H -2.087 1.846 0.343

Atomic forces in eV per Å
-1.58 -1.66 -1.08
3.00 -3.67 -2.59
-2.81 1.64 0.46
0.48 1.14 1.98
-0.75 0.64 1.94
-3.09 1.26 0.03
2.48 0.58 -0.45
0.43 -1.44 -0.50
-0.52 0.63 -1.70
0.22 -0.96 1.16
0.45 1.87 -0.23
0.34 -0.41 -0.03
1.00 0.52 0.23
0.44 -0.60 0.70
0.81 0.00 0.24
-0.17 -0.05 0.84
0.27 -0.02 0.27
0.92 0.03 -0.09
-1.92 0.50 -1.17

natural (NBO) analysis output, partial charges in e: 0.0359 -0.4036 0.7402 -0.4679 1.0150 1.0177 -0.2310 -0.2103 -0.2671 -0.2792 -0.3017 -0.2536 -0.3309 -0.2974 0.2223 0.2493 0.2503 0.2668 0.2453

***

Entry 2:
Molecular formula: C29H41Cl2N5OP2Pt
Method: DFT, ωB97M-V with the def2-TZVPD basis set

Results
**Total charge**: +2
**HOMO energy**: -11.59 eV
**Energy relative to the best compared isomer or geometry (same formula, charge and spin)**: 2.5249 eV
**M**: 803.61 g mol⁻¹
**Frontier orbital gap**: 5.64 eV
**Maximum force**: 0.0659 hartree/bohr

CARTESIAN COORDINATES (ANGSTROEM)
1 Pt 0.207 -0.068 0.266
2 C -2.169 2.239 0.046
3 P -0.631 2.137 1.026
4 C -1.361 1.515 2.587
5 N -2.408 2.131 3.057
6 C -3.080 1.639 4.111
7 C -4.269 2.226 4.570
8 C -4.978 1.620 5.577
9 C -4.520 0.437 6.177
10 C -3.348 -0.147 5.774
11 C -2.611 0.433 4.730
12 N -1.505 -0.154 4.256
13 C -0.889 0.336 3.213
14 P 0.406 -0.702 2.477
15 C -0.100 -2.321 3.141
16 C 2.022 -0.279 3.354
17 C 2.897 -1.530 3.408
18 C 2.707 0.762 2.475
19 C 1.761 0.267 4.752
20 C -0.225 3.956 1.452
21 C 0.593 3.998 2.741
22 C -1.485 4.792 1.629
23 C 0.610 4.467 0.278
24 H -2.963 2.699 0.634
25 H -2.454 1.221 -0.223
26 H -1.997 2.798 -0.871
27 H -4.613 3.134 4.100
28 H -5.906 2.052 5.915
29 H -5.105 -0.022 6.959
30 H -2.977 -1.058 6.218
31 H 0.590 -3.103 2.835
32 H -1.095 -2.546 2.758
33 H -0.144 -2.266 4.228
34 H 2.968 -2.006 2.430
35 H 2.519 -2.250 4.127
36 H 3.903 -1.256 3.718
37 H 2.966 0.313 1.515
38 H 3.609 1.130 2.957
39 H 2.039 1.600 2.290
40 H 1.114 -0.398 5.319
41 H 1.289 1.246 4.710
42 H 2.700 0.363 5.292
43 H 0.027 3.585 3.573
44 H 0.848 5.027 2.988
45 H 1.525 3.446 2.639
46 H -2.167 4.321 2.333
47 H -1.998 4.955 0.686
48 H -1.215 5.767 2.031
49 H 1.536 3.897 0.197
50 H 0.859 5.519 0.413
51 H 0.062 4.364 -0.657
52 Cl -1.042 1.237 -4.488
53 C -0.512 -0.315 -3.997
54 C -0.372 -1.332 -4.933
55 C 0.034 -2.600 -4.563
56 Cl 0.212 -3.811 -5.766
57 C 0.296 -2.907 -3.201
58 C 0.637 -4.185 -2.721
59 C 0.830 -4.371 -1.373
60 C 0.728 -3.271 -0.518
61 N 0.450 -2.059 -0.946
62 C 0.198 -1.856 -2.252
63 C -0.215 -0.515 -2.621
64 O -0.319 0.409 -1.766
65 H -0.593 -1.126 -5.969
66 H 0.723 -5.004 -3.415
67 H 1.068 -5.341 -0.969
68 H 0.865 -3.385 0.547
69 N 6.229 1.798 -1.279
70 C 5.040 1.034 -0.797
71 C 3.751 1.423 -1.583
72 N 2.699 0.467 -1.489
73 H 7.097 1.466 -0.838
74 H 6.125 2.801 -1.072
75 H 6.321 1.691 -2.299
76 H 4.916 1.217 0.271
77 H 5.234 -0.030 -0.948
78 H 4.013 1.523 -2.643
79 H 3.377 2.383 -1.221
80 H 2.216 0.414 -0.584
81 H 2.942 -0.452 -1.829

Atomic forces in eV per Å
-0.74 -0.71 -1.57
0.24 -0.11 -0.25
-1.35 -1.24 0.34
0.12 -0.25 0.31
-0.34 0.68 -0.26
0.44 -0.99 0.33
-0.42 0.09 0.26
0.15 0.50 -0.43
0.45 -0.47 0.04
-0.28 -0.06 0.31
-0.28 0.93 -0.43
0.36 -0.67 0.23
-0.44 0.18 0.15
0.29 0.68 0.14
0.12 -0.02 -0.68
-0.11 -0.08 -0.51
-0.17 0.00 -0.03
-0.10 -0.02 0.01
- - -
## Request
What is needed: reproduce everything further up without additions.
## Result
Entry 1:
Molecular formula: C6H5F7N
Method: DFT, ωB97M-V with the def2-TZVPD basis set

Results
**Total charge**: +1
**HOMO energy (spin up / spin down)**: -15.69 / -14.74 eV
**M**: 224.10 g mol⁻¹
**Frontier orbital gap (spin up / spin down)**: 9.03 / 7.24 eV
**Maximum force**: 0.1050 hartree/bohr

CARTESIAN COORDINATES (ANGSTROEM)
1 C -2.084 -1.227 0.222
2 C 1.421 0.173 0.248
3 C 0.416 0.890 0.514
4 C -2.805 1.107 -0.135
5 C 2.889 0.666 -0.062
6 C 1.432 -1.367 -0.232
7 N -1.967 -0.011 0.096
8 F 0.054 2.066 0.893
9 F 3.185 0.589 -1.315
10 F 3.840 0.022 0.560
11 F 2.881 1.888 0.413
12 F 2.570 -1.741 -0.705
13 F 0.458 -1.584 -1.183
14 F 1.041 -2.094 0.796
15 H -3.129 -1.632 0.196
16 H -1.231 -1.884 0.056
17 H -3.730 1.041 0.454
18 H -3.153 1.251 -1.160
19 H -2.087 1.846 0.343

Atomic forces in eV per Å
-1.58 -1.66 -1.08
3.00 -3.67 -2.59
-2.81 1.64 0.46
0.48 1.14 1.98
-0.75 0.64 1.94
-3.09 1.26 0.03
2.48 0.58 -0.45
0.43 -1.44 -0.50
-0.52 0.63 -1.70
0.22 -0.96 1.16
0.45 1.87 -0.23
0.34 -0.41 -0.03
1.00 0.52 0.23
0.44 -0.60 0.70
0.81 0.00 0.24
-0.17 -0.05 0.84
0.27 -0.02 0.27
0.92 0.03 -0.09
-1.92 0.50 -1.17

natural (NBO) analysis output, partial charges in e: 0.0359 -0.4036 0.7402 -0.4679 1.0150 1.0177 -0.2310 -0.2103 -0.2671 -0.2792 -0.3017 -0.2536 -0.3309 -0.2974 0.2223 0.2493 0.2503 0.2668 0.2453

***

Entry 2:
Molecular formula: C29H41Cl2N5OP2Pt
Method: DFT, ωB97M-V with the def2-TZVPD basis set

Results
**Total charge**: +2
**HOMO energy**: -11.59 eV
**Energy relative to the best compared isomer or geometry (same formula, charge and spin)**: 2.5249 eV
**M**: 803.61 g mol⁻¹
**Frontier orbital gap**: 5.64 eV
**Maximum force**: 0.0659 hartree/bohr

CARTESIAN COORDINATES (ANGSTROEM)
1 Pt 0.207 -0.068 0.266
2 C -2.169 2.239 0.046
3 P -0.631 2.137 1.026
4 C -1.361 1.515 2.587
5 N -2.408 2.131 3.057
6 C -3.080 1.639 4.111
7 C -4.269 2.226 4.570
8 C -4.978 1.620 5.577
9 C -4.520 0.437 6.177
10 C -3.348 -0.147 5.774
11 C -2.611 0.433 4.730
12 N -1.505 -0.154 4.256
13 C -0.889 0.336 3.213
14 P 0.406 -0.702 2.477
15 C -0.100 -2.321 3.141
16 C 2.022 -0.279 3.354
17 C 2.897 -1.530 3.408
18 C 2.707 0.762 2.475
19 C 1.761 0.267 4.752
20 C -0.225 3.956 1.452
21 C 0.593 3.998 2.741
22 C -1.485 4.792 1.629
23 C 0.610 4.467 0.278
24 H -2.963 2.699 0.634
25 H -2.454 1.221 -0.223
26 H -1.997 2.798 -0.871
27 H -4.613 3.134 4.100
28 H -5.906 2.052 5.915
29 H -5.105 -0.022 6.959
30 H -2.977 -1.058 6.218
31 H 0.590 -3.103 2.835
32 H -1.095 -2.546 2.758
33 H -0.144 -2.266 4.228
34 H 2.968 -2.006 2.430
35 H 2.519 -2.250 4.127
36 H 3.903 -1.256 3.718
37 H 2.966 0.313 1.515
38 H 3.609 1.130 2.957
39 H 2.039 1.600 2.290
40 H 1.114 -0.398 5.319
41 H 1.289 1.246 4.710
42 H 2.700 0.363 5.292
43 H 0.027 3.585 3.573
44 H 0.848 5.027 2.988
45 H 1.525 3.446 2.639
46 H -2.167 4.321 2.333
47 H -1.998 4.955 0.686
48 H -1.215 5.767 2.031
49 H 1.536 3.897 0.197
50 H 0.859 5.519 0.413
51 H 0.062 4.364 -0.657
52 Cl -1.042 1.237 -4.488
53 C -0.512 -0.315 -3.997
54 C -0.372 -1.332 -4.933
55 C 0.034 -2.600 -4.563
56 Cl 0.212 -3.811 -5.766
57 C 0.296 -2.907 -3.201
58 C 0.637 -4.185 -2.721
59 C 0.830 -4.371 -1.373
60 C 0.728 -3.271 -0.518
61 N 0.450 -2.059 -0.946
62 C 0.198 -1.856 -2.252
63 C -0.215 -0.515 -2.621
64 O -0.319 0.409 -1.766
65 H -0.593 -1.126 -5.969
66 H 0.723 -5.004 -3.415
67 H 1.068 -5.341 -0.969
68 H 0.865 -3.385 0.547
69 N 6.229 1.798 -1.279
70 C 5.040 1.034 -0.797
71 C 3.751 1.423 -1.583
72 N 2.699 0.467 -1.489
73 H 7.097 1.466 -0.838
74 H 6.125 2.801 -1.072
75 H 6.321 1.691 -2.299
76 H 4.916 1.217 0.271
77 H 5.234 -0.030 -0.948
78 H 4.013 1.523 -2.643
79 H 3.377 2.383 -1.221
80 H 2.216 0.414 -0.584
81 H 2.942 -0.452 -1.829

Atomic forces in eV per Å
-0.74 -0.71 -1.57
0.24 -0.11 -0.25
-1.35 -1.24 0.34
0.12 -0.25 0.31
-0.34 0.68 -0.26
0.44 -0.99 0.33
-0.42 0.09 0.26
0.15 0.50 -0.43
0.45 -0.47 0.04
-0.28 -0.06 0.31
-0.28 0.93 -0.43
0.36 -0.67 0.23
-0.44 0.18 0.15
0.29 0.68 0.14
0.12 -0.02 -0.68
-0.11 -0.08 -0.51
-0.17 0.00 -0.03
-0.10 -0.02 0.01